- Fișa disciplinei:
- BP1-15 A Modele matematice in arhitectura.pdf
- Department:
- Basics of Architectural Design
- Course Leader:
- conf.dr.arh. Anca Vitcu
- Teaching Staff:
- https://www.uauim.ro/departamente/bp/grupe/
- Teaching language:
- Romanian
- Learning outcomes:
- General Objective
Generating a background that catalyzes and fosters through experimentation creativity and the shaping of the relationship between mathematics & computer science on side and architecture on the other, a relationship inspired by biosciences/natural sciences.
Acquisition of basic knowledge and skills:
- in the field of mathematical modeling, in the analytical description of the the architectural project idea, in the search of suitable algorithmic, geometric or topological solutions,
- in the rapid visualization of the architectural idea by creating a 3D model in one of the dedicated software packages (Blender, 3ds Max, Maya).
Specific Objectives
O1. Knowledge of mathematical modeling concepts and how they are used in contemporary architecture;
O2. Knowledge of principles of algorithmic generation of forms and how they are used in architectural and urban design;
O3. Knowledge of 3D modeling methods and techniques for visualizing shapes and configurations in architectural space.
- Content:
- Course
1. Architecture inspired by nature - an overview of associated mathematical concepts and presentation of examples of mathematical models used in built architecture and urban planning.
2. Fractal structures, presentation of the differences between fractal and Euclidean geometry, examples of how to interpret fractal geometry in architecture and examples of interpretations of fractal geometry in architecture.
3. Geometric and topological features of complex surfaces in 3-dim space:
- ruled surfaces (hyperboloid, paraboloid, hyperbolic paraboloid, conoid surfaces,...),
-modeling of free-form curves and surfaces (Bézier, B-spline, NURBS, ...).
4. Geometric and topological features of complex surfaces in 3-dim space:
-minimal surfaces (catenoid, helicoid, Enneper and Scherk surfaces),
- Plateau's bubbles, Weaire-Phelan structure.
5. Geometric and topological features of complex surfaces in 3-dim space:
-non-orientable surfaces (Klein's glass, Möbius strip,...).
6. Discrete analogies of smooth geometric objects.
7. Explanation of some basic concepts in the field of machine learning, contextualization and understanding of their role in architectural and urban design.
1. An overview of fundamental computer modeling algorithms, techniques, and tools;
Exercises: topological transformations, cellular automata, Voronoi diagrams, triangulation of a region
2. The choice of project topics – students can opt for the preparation of a practical project consisting of a 3D model created in one of the dedicated programs or to prepare a theoretical project consisting of an in-depth analysis of the connection between mathematics and architecture of the proposed topic. The projects are inspired by the topic discussed in the course.
3. Project development – revise/proofread
4. Project development – revise/proofread
5. Project development – revise/proofread
6. Project development – revise/proofread
7. Project development – revise final version
- Teaching Method:
- Customized lectures and applications
- Assessment:
- Project evaluation (theoretical module - 30%) – the motivation for choosing the topic, the description of the source from nature as the basis of inspiration, examples of architectural projects that have the same source of inspiration and the use of associated mathematical concepts, sketches of the architectural form inspired by nature (proposed by the student).
- Ability to understand, recognize and explain concepts of topology, differential geometry in selected contemporary architecture projects. (colloquium)
Project evaluation (practical part - 70%) - the complexity of the 3D model, the description of the mathematical concept/associated/implemented algorithm, the correct use of modeling techniques. (colloquium)
- Understanding of basic strategies to create content through polygonal, spline, NURBS or procedural modeling.
Minimal performance standards
- To understand fundamental mathematical and algorithmic concepts in the context of modeling complex architectural forms.
- To know and have the ability to correctly use the modeling techniques and basic principles used in dedicated programs (Blender, 3ds Max, Maya).
- Have the skills to stage an idea correctly using reference software packages.
- Bibliography:
Adam A. John (2003) – Mathematics in Nature: Modeling Patterns in the Natural World, Princeton University Press
Carta Silvio (Ed.) (2022) - Machine Learning and the City: Applications in Architecture and Urban Design, Wiley;
Records of crystals that have nothing to do with the entry.
[1]
LiNiO2: PBEsol geometry, SCAN.

POSCAR file:
```
LiNiO2
1.0
-2.4566 0.3717 1.8860
-0.4338 -0.4467 -3.0565
-0.2364 -6.7022 1.0131
Li Ni O
1 1 2
Direct
0.0000 0.0000 0.5000
0.0000 0.0000 0.0000
0.0000 0.0000 0.2424
0.0000 0.0000 0.7576
```

## Properties
Formation energy without anion corrections in eV/atom: -0.62

[2]
LiNiO2: PBEsol geometry, SCAN.

POSCAR file:
```
LiNiO2
1.0
-2.5570 -1.2022 2.7433
-2.3053 -1.5129 -2.8118
4.4418 -2.2506 0.3271
Ni O Li
2 4 2
Direct
0.6250 0.3750 0.2500
0.3750 0.6250 0.7500
0.3988 0.1488 0.7977
0.8512 0.6012 0.7024
0.1488 0.3988 0.2976
0.6012 0.8512 0.2023
0.8752 0.1252 0.7503
0.1248 0.8748 0.2497
```

## Properties
Formation energy without anion corrections in eV/atom: -1.56

[3]
LiNiO2: PBEsol geometry, SCAN.

POSCAR file:
```
LiNiO2
1.0
-2.9040 -4.7393 -0.8061
1.8424 -0.2314 -5.2768
6.3934 -4.3295 2.4221
Li Ni O
8 8 16
Direct
0.2491 0.7500 0.7500
0.7509 0.2500 0.2500
0.2491 0.7500 0.2500
0.7509 0.2500 0.7500
0.5000 0.5000 0.0000
0.0000 0.0000 0.5000
0.0000 0.5000 0.0000
0.5000 0.0000 0.5000
0.2490 0.2500 0.7500
0.2490 0.2500 0.2500
0.7510 0.7500 0.7500
0.7510 0.7500 0.2500
0.5000 0.5000 0.5000
0.0000 0.0000 0.0000
0.0000 0.5000 0.5000
0.5000 0.0000 0.0000
0.2494 0.7252 0.5000
0.7506 0.2252 0.0000
0.2494 0.7748 0.0000
0.7506 0.2748 0.5000
0.2665 0.2384 0.0000
0.7335 0.7384 0.5000
0.2665 0.2616 0.5000
0.7335 0.7616 0.0000
0.0000 0.5000 0.2647
0.5000 0.0000 0.7679
0.5000 0.5000 0.2679
0.0000 0.0000 0.7647
0.5000 0.0000 0.2321
0.0000 0.5000 0.7353
0.0000 0.0000 0.2353
0.5000 0.5000 0.7321
```

## Properties
Formation energy without anion corrections in eV/atom: -1.61

[4]
LiNiO2: PBEsol geometry, SCAN.

POSCAR file:
```
LiNiO2
1.0
-1.5411 1.9672 1.3845
-2.8387 0.0715 -0.3138
-1.9312 -2.2251 3.9595
Ni O Li
1 2 1
Direct
0.0000 0.0000 0.0000
0.7405 0.7405 0.7786
0.2595 0.2595 0.2214
0.5000 0.5000 0.5000
```

## Properties
Formation energy without anion corrections in eV/atom: -1.62

[5]
Li3Ni4O8: PBEsol geometry, SCAN.

POSCAR file:
```
Li3Ni4O8
1.0
-0.7831 -2.9979 4.5670
-1.0931 -2.3847 -4.9887
5.2851 0.9933 1.3608
Li Ni O
3 4 8
Direct
0.0000 0.5000 0.5000
0.5000 0.5000 0.0000
0.0000 0.0000 0.5000
0.5000 0.5000 0.5000
0.0000 0.0000 0.0000
0.0000 0.5000 0.0000
0.5000 0.0000 0.0000
0.2708 0.5416 0.7708
0.7459 0.0000 0.7751
0.7744 0.5488 0.7744
0.2412 0.0000 0.7729
0.7588 0.0000 0.2271
0.2256 0.4512 0.2256
0.2541 0.0000 0.2249
0.7292 0.4584 0.2292
```

## Properties
Formation energy without anion corrections in eV/atom: -1.48
Energy above the lowest structure with this stoichiometry in kJ/mol of formula units: 62

[6]
LiNi4P3O12: PBEsol geometry, SCAN.

POSCAR file:
```
LiNi4P3O12
1.0
6.5214 0.0000 0.0000
0.0000 6.5214 0.0000
-3.2607 -3.2607 9.0542
Li Ni P O
2 8 6 24
Direct
0.2500 0.7500 0.5000
0.0000 0.0000 0.0000
0.2730 0.2730 0.5460
0.8707 0.3750 0.2500
0.9770 0.4770 0.9540
0.7270 0.7270 0.4540
0.6250 0.6207 0.7500
0.3793 0.8750 0.2500
0.5230 0.0230 0.0460
0.1250 0.1293 0.7500
0.6250 0.0232 0.7500
Emmer Michele, Abate Marco (Eds.) (2018) – Imagine Math 6: Between Culture and Mathematics, Springer;
Hensel Michael (2013) - Performance-Oriented Architecture: Rethinking Architectural Design and the Built Environment, Wiley;
Lang J. Robert (2018) – Twists, Tilings and Tessellation: Mathematical Methods for Geometric Origami, CRC Press;
Lastra Alberto (2021) - Parametric Geometry of Curves and Surfaces: Architectural Form-Finding, Springer;
Lesmoir-Gordon Nigel (Ed.) (2010) – The Colors of Infinity: The Beauty and Power of Fractals, Springer;
Niss Mogens, Blum Werner (2020) - The Learning and Teaching of Mathematical Modelling, Routledge;
Prautzsch Hartmut, Boehm Wolfgang, Paluszny Marco (2002) - Bezier and B-Spline Techniques, Springer;
Pugnale Alberto, Bologna Alberto (2023) – Architecture Beyond the Cupola: Inventions and Designs of Dante Bini (Mathematics and the Built Environment series), Springer Nature;
Rossi Michela, Buratti Giorgio (Eds.) (2018) - Computational Morphologies Design Rules Between Organic Models and Responsive Architecture, Springer;
Verner I, Maor S (2006) – Mathematical Mode of Thought in Architectural Design Education, Nexus Network Journal 8;
Williams Kim, Ostwald J. Michael (2015) - Architecture and Mathematics from Antiquity to the Future (vol. II), Springer
Vitcu Anca (2023) - The Challenge of Next-Generation Machine Learning Algorithms for Architecture Design and Living Environment, in Vol. Architecture Inspired by Nature, Ed. Springer Nature;
Vitcu Anca (2015) - Bio-Inspired Architecture as Performance Orientated System, in Vol. On Form and Pattern, Ed. Academiei Române.
Vitcu Anca – Course notes
Bibliografie selectivă (seminar/lab):
Architectural Design: Parametricism 2.0 - Rethinking Architecture's Agenda for the 21st Century, Wiley, March/April 2016;
Architectural Design: Pavilions, Pop-Ups and Parasols: The Impact of Real and Virtual Meeting on Physical Space, Wiley, May/June 2015;
Architectural Design: Empathic Space - The Computation of Human-Centric Architecture, Wiley, September/October 2014;
Architectural Design: Space Architecture - The New Frontier for Design Research, Wiley, November/December 2014;
Architectural Design: Computation Works-The Building of Algorithmic Thought, Wiley, March/April 2013;
Architectural Design: Inside Smartgeometry: Expanding the Architectural Possibilities of Computational Design, Wiley, March 2013;
Architectural Design: Mathematics of Space, Wiley, July/August 2011;
Architectural Design: Protocell Architecture, Wiley, March/April 2011;
Architectural Design: The New Structuralism - Design, Engineering and Architectural Technologies, Wiley, July/August 2010;
Architectural Design: Exuberance - New Virtuosity in Contemporary Architecture, Wiley, March/April 2010;
Architectural Design: Patterns of Architecture, Wiley, November/December 2009;
Architectural Design: Digital Cities, Wiley, July/August 2009;
Architectural Design: Closing the Gap, Wiley, March/April 2009;
Architectural Design: Versatility and Vicissitude, Wiley, March/April 2008;
Architectural Design: Elegance, Wiley, January/February 2007;
Architectural Design: Collective Intelligence in Design, Wiley, September/October 2006;
Architectural Design: Programming Cultures, Wiley, July/August 2006;
Vitcu Anca – Fișe de lucru
- Notes:
- - Students learn to use mathematics creatively by generating varied complex shapes, as well as a method to answer design problems – efficiency, functionality, optimization, adaptability, stability, sustainability.